California, the producer of nearly half the country’s produce, is experiencing an extreme drought right now, as I’m sure you’ve all heard about. This means that in California, there is little to no water to spare, even for agriculture.
But what does that have to do with almonds?

Here the article breaks off for molecular data
=====
Record 1
A gas-phase ion, C6H5O7S (charge -1) at a distorted geometry. Source: the OMol25 dataset; level of theory: ωB97M-V with the def2-TZVPD basis set.

```
19
Properties=species:S:1:pos:R:3:forces:R:3:mulliken_charge:R:1
H 1.33977 -0.30048 2.41250 -0.3 1.7 0.4 0.34
C 1.04830 -1.78179 1.36965 -0.1 -2.5 -0.9 -0.40
C -0.74113 0.00093 0.92456 1.1 0.1 2.0 0.14
O 2.20817 2.01594 -2.00030 -0.7 2.2 -1.8 -0.73
S 2.36964 0.95244 -0.97379 1.6 -2.5 0.5 0.02
H 0.56563 2.13464 -2.22150 -0.1 -0.6 0.5 0.49
O -2.06941 -0.01156 0.38774 0.4 -0.5 0.4 -0.39
H -1.48051 -1.68069 -0.48249 0.8 -1.2 0.5 0.37
H -0.61775 0.24446 2.13032 -1.0 -0.2 -3.0 0.19
C -2.00830 0.45312 -0.94570 -1.3 -0.1 -0.7 0.07
O -0.43444 1.99233 -2.11683 -0.7 0.1 -1.1 -0.63
C -0.06287 -1.38605 0.74999 -0.9 0.5 0.3 0.45
H 1.29391 -2.88527 1.09707 0.3 2.2 0.9 0.27
O 1.82443 -1.09303 2.29887 -0.3 -1.9 -1.0 -0.55
O -2.88012 0.12099 -1.72572 0.8 0.5 0.9 -0.61
O 1.24828 1.25935 0.24059 -1.6 0.6 1.7 -0.51
C -0.04526 0.98649 0.04274 -0.3 -0.2 -1.7 0.71
C -0.80014 1.22260 -1.09934 2.4 0.4 2.2 0.38
O -0.75821 -2.24444 -0.08838 -0.3 1.1 -0.2 -0.62
```
Positions in Å, forces in eV/Å.

Its structure (SMILES) is O=C1O[C@@H](/C(O)=C\O)C(OS[O-])=C1O. As for the HOMO-LUMO gap: 6.19 eV. Its net charge is -1. The calculation puts the energy above the lowest of the compared OMol25 structures with the same formula, charge and spin at 41.85 kcal per mole.

Record 2
C3H5FOS in the gas phase at a distorted geometry. Source: the OMol25 dataset; level of theory: ωB97M-V with the def2-TZVPD basis set.

```
11
Properties=species:S:1:pos:R:3:forces:R:3:mulliken_charge:R:1
S -1.70479 -0.08387 -0.12693 0.0 0.0 -0.1 -0.30
C 0.99657 -0.73110 0.48878 0.1 0.0 -0.1 -0.26
O 1.04021 -1.38555 -0.72044 -0.9 -0.1 -0.6 -0.48
F 0.86806 1.40314 -0.70267 0.0 -0.2 0.2 -0.28
H 1.57403 -1.23780 1.24357 0.1 0.0 0.2 0.34
H -1.47196 1.05192 -0.81638 0.0 -0.2 0.1 0.17
H 0.13392 -1.33029 -1.11582 0.8 0.0 0.3 0.31
H 1.44295 1.37783 1.25893 -0.1 -0.4 -0.4 0.32
C -0.27632 -0.02841 0.93122 -0.1 0.0 0.7 -0.23
H -0.50994 -0.04034 2.01011 0.1 0.1 -0.7 0.33
C 0.94199 0.75563 0.50300 0.0 0.8 0.5 0.08
```
Positions in Å, forces in eV/Å.

Its structure (SMILES) is O[C@H]1[C@@H](F)[C@H]1S. As for the HOMO-LUMO gap: 10.19 eV. The calculation puts the energy above the lowest of the compared OMol25 structures with the same formula, charge and spin at 26.00 kcal per mole.

Record 3
A gas-phase ion, C5H8IN2 (charge +1) at a distorted geometry. Source: the OMol25 dataset; level of theory: ωB97M-V with the def2-TZVPD basis set.

```
16
Properties=species:S:1:pos:R:3:forces:R:3:mulliken_charge:R:1
C -0.26772 1.43105 0.74413 -1.1 1.0 -1.4 -0.22
I 3.16974 0.45322 -0.03343 1.3 0.6 -0.1 0.49
H -1.04814 1.70034 1.44535 0.1 -0.1 0.7 0.31
H -1.85889 1.58389 -0.65061 -1.2 -0.5 0.3 0.38
N 0.01283 0.04758 0.72436 2.0 -4.0 -0.5 -0.39
H 0.66869 1.94186 1.03057 -0.4 -0.3 -0.1 0.21
C -0.13359 -2.15045 0.05288 0.7 1.9 0.8 -0.12
C 1.91098 -0.97601 -0.18201 -2.7 0.3 1.3 -0.21
=====
Photo by Julia Fuller
According to the California Almond Acreage Report, the amount of acres dedicated to almond plants has more than doubled since 1995, going from 418,000 acres to about 860,000 in 2014, meaning that almonds are making a profit upwards of $4,816,860 right now. This also means that right now, almonds are in high demand, and the price of almonds rise as the demand for them does, too, because almonds are a very trendy food.
## Records of molecules, as found in the file
/*
Computed, not measured: a structure of composition C26H46As3ClN5O4Ti, with wB97M-V/def2-TZVPD.

CARTESIAN COORDINATES (ANGSTROEM)
As (0.20227, 1.50239, 0.34991)
C (-0.49106, -1.48754, -2.57397)
C (-3.40566, -0.34093, -4.42246)
H (-0.68722, 2.05866, -1.94709)
H (4.27073, -0.85515, 0.18946)
H (-3.98922, 0.31872, 2.19551)
H (2.82365, -1.46794, 3.21093)
O (-1.98078, -1.96513, -6.66394)
H (2.17823, 2.82824, -0.25312)
C (-6.24508, 3.12361, -1.88746)
N (-2.47757, -0.09304, -2.41352)
As (6.37043, 1.41258, 0.42127)
C (-6.19467, 1.87222, -1.28800)
H (-2.39905, -0.29463, 4.09292)
Ti (-0.53859, -1.06650, 0.54506)
C (-1.76376, -0.96354, -3.11770)
H (-1.28726, -2.32189, 4.34050)
H (2.22937, 0.73100, 2.30912)
H (0.20410, -2.60497, 3.44351)
H (1.93064, -3.12525, -1.30216)
H (-0.08074, -0.45213, 3.20406)
C (2.38289, -3.26994, -0.32130)
H (-0.95041, 3.01193, 2.00790)
H (-2.25382, -1.05143, -6.81671)
C (-2.30373, -1.17544, -4.40074)
H (-2.79755, 0.37971, 0.22432)
H (6.43554, -1.14821, 0.27931)
H (6.01307, 3.33983, 2.02831)
C (-0.74220, 2.55207, -0.97997)
N (-3.48065, 0.28218, -3.22116)
H (-5.44072, 4.40514, -3.40605)
O (0.40768, -1.98499, -3.17519)
N (-2.71082, -0.51711, 0.70337)
C (2.03246, 1.74310, -0.30034)
H (5.64943, 1.82374, 2.88671)
H (2.53058, -3.17351, 2.80173)
H (3.99035, 0.70393, 2.38744)
H (4.50455, 1.57135, -1.25186)
H (-1.78247, -3.60512, 0.42623)
H (3.13035, -0.54336, -1.11076)
N (-0.85868, -0.94345, 2.76870)
H (-1.40206, -4.32906, 2.84580)
H (7.32377, 2.30028, 2.57331)
H (2.00080, 1.47883, -1.36203)
C (-1.56457, -3.32169, 2.45512)
C (-2.07779, -0.13969, 3.05855)
N (-1.08964, -3.20160, 1.05369)
H (4.38895, 2.80011, -0.02141)
H (0.44696, 2.24498, 2.79386)
H (-3.68570, -1.39837, 2.33204)
C (4.48684, 1.71927, -0.16803)
H (0.68802, 3.59086, 1.67134)
C (-1.91342, -2.25020, -5.35771)
H (3.46231, -3.39465, -0.42572)
H (-1.78425, 0.90899, 2.96143)
H (7.40744, -0.51554, 1.59513)
H (4.00072, -2.36689, 2.23484)
C (2.93825, -2.22892, 2.44065)
C (-4.43149, 1.25809, -2.77827)
C (3.28149, -0.44672, -0.03118)
O (-1.55396, -3.31883, -4.96209)
O (-0.42897, -1.30556, -1.22979)
C (-3.21444, -0.44487, 2.09649)
C (6.44029, -0.43091, 1.09915)
H (-1.79102, 2.66396, -0.70562)
C (-0.84610, -2.31908, 3.33951)
C (3.14365, 1.18214, 1.89572)
H (-5.26442, -0.07221, -1.32190)
C (3.21758, 1.03084, 0.38508)
C (6.31301, 2.30187, 2.16834)
H (5.66724, -0.67970, 1.82696)
C (-5.28592, 0.92611, -1.73737)
C (-5.39159, 3.43371, -2.93575)
H (-6.96403, 3.85457, -1.54606)
H (-0.26788, 3.53375, -1.02689)
H (1.98087, -4.16856, 0.14809)
H (-2.64101, -3.15712, 2.45573)
C (-4.47163, 2.49863, -3.38945)
H (-3.30487, -1.12859, 0.14808)
H (-6.88197, 1.62470, -0.49092)
Cl (-4.58042, -0.11425, -5.62634)
H (-3.79940, 2.72999, -4.20394)
As (2.05090, -1.71520, 0.79199)
H (-0.26147, -3.78005, 0.92133)
H (3.14715, 2.23326, 2.19026)
C (0.08722, 2.70414, 1.87518)
*/
And, don’t get me wrong, almond are delicious and very good for you— but at what cost?

Photo by Yonatan Soler
It takes 1.1 gallons of water to produce one almond. ONE ALMOND.
Imagine, then, how much water is being used to grow this 860,000 acreage of almonds. That’s a hell of a lot of water. At a time when there really isn’t much water to spare.
Due to the lack of water, Californian farmers have been drilling for water on their own farms to create wells and there are little to no regulations regarding well-drilling and it’s extremely expensive to create these wells.
It turns out all this drilling is actually making the drought worse. According to NPR: “State officials estimate that water tables in some parts of the Central Valley have dropped 100 feet below historical lows. Groundwater pumping could also put more stress on the San Andreas Fault, which has moving plates that can cause earthquakes.”
........
Record 1
Computed, not measured: C6H5AlN2O5S as an isolated structure, with the ωB97M-V functional and the def2-TZVPD basis.

E_HOMO (spin up / spin down) ... -17.80 / -18.10 eV
Net charge ... +2
LUMO energy (spin up / spin down) ... -11.37 / -10.71 eV

Structure (XYZ):
```
20
Properties=species:S:1:pos:R:3:forces:R:3
O -4.434775 -0.688704 -0.334685 -0.55 1.75 -2.61
C -4.446815 0.091980 -1.185786 -0.92 -2.86 2.14
Al 0.547387 0.332476 -1.247092 2.74 -0.57 1.52
O -1.252661 -0.601435 1.177046 0.55 0.81 -3.23
C -1.071308 -0.136925 0.060776 -0.04 0.23 2.54
C -1.653030 1.454955 -1.890590 -2.77 3.93 -2.38
O -2.110271 2.281915 -2.565703 2.40 -2.96 1.31
C -1.916408 0.746706 -0.692860 -2.93 0.00 2.42
O -3.011624 1.218440 -0.170499 2.83 0.34 -0.47
C 0.009854 -1.682364 -1.673908 -0.67 -5.41 -1.99
O -0.270048 -2.770168 -1.935472 1.09 4.76 1.31
H 0.678783 1.096315 -2.551341 -0.77 0.35 -0.73
N 1.430734 0.438724 2.063793 0.58 -0.36 -0.71
C 2.408699 0.006240 1.267036 0.19 -0.83 1.83
N 3.290749 -0.905191 1.702150 -1.29 1.20 -0.94
S 2.674042 0.679036 -0.286166 -1.35 -0.03 -1.31
H 1.390178 0.113494 3.015730 -0.33 0.03 0.23
H 0.698881 1.035274 1.695589 0.51 0.09 0.52
H 3.875246 -1.303180 0.997869 0.67 -0.24 -0.10
H 3.162389 -1.407587 2.554112 0.06 -0.22 0.65
```
Positions in Å, forces in eV/Å.

***

Record 2
Computed, not measured: a 2-piece molecular cluster, C4H9O overall, with the ωB97M-V functional and the def2-TZVPD basis.

E_HOMO ... -1.92 eV
Net charge ... -1
LUMO energy ... 3.89 eV

Structure (XYZ):
```
14
Properties=species:S:1:pos:R:3:forces:R:3
C -3.162851 0.390122 0.727333 0.45 -0.30 -0.05
O -2.147685 -0.425271 1.093806 0.12 0.00 -0.12
H -2.836042 1.439172 0.493785 -0.16 0.13 0.10
H -3.695141 0.073929 -0.212645 -0.12 0.00 0.03
H -3.969615 0.477803 1.500451 -0.11 0.17 -0.06
C 0.828101 -0.796193 -0.696149 -0.93 0.70 -0.70
C 2.027280 0.108950 -0.735897 0.58 -1.35 0.21
C 2.822009 0.353293 0.301355 -0.18 1.19 -0.16
H -0.012759 -0.468314 -0.068601 0.19 -0.09 0.49
H 0.355814 -0.822745 -1.684066 0.18 -0.14 -0.05
H 1.107472 -1.819295 -0.451021 0.04 0.03 0.18
H 2.438646 0.331413 -1.718242 -0.12 0.14 -0.05
H 3.757182 0.876438 0.120576 -0.01 0.01 0.18
H 2.487586 0.280699 1.329309 0.08 -0.49 0.01
```
Positions in Å, forces in eV/Å.

***

Record 3
Computed, not measured: a 11-piece molecular cluster, C26H68O13 overall, with the ωB97M-V functional and the def2-TZVPD basis.

SMILES string ... C1CCOC1.C1CCOC1.C1CCOC1.COCCOC.COCCOC.CO.CO.CO.CO.CO.CO
E_HOMO ... -9.47 eV
Net charge ... 0
LUMO energy ... 0.26 eV

Structure (XYZ):
```
107
Properties=species:S:1:pos:R:3:forces:R:3
C -2.031814 1.783424 0.350838 -0.36 -1.59 1.33
C -2.083844 0.862794 -0.864482 -0.68 0.43 0.23
C -0.894244 1.332454 -1.645902 0.35 -0.03 -0.99
O -0.811794 2.723964 -1.388252 1.06 -0.27 0.07
C -1.237944 2.957874 -0.054662 -1.10 1.37 -1.13
H -1.530284 1.276684 1.175328 -0.23 -0.15 0.18
H -3.035334 2.078364 0.657508 0.09 -0.18 0.24
H -2.977474 1.145844 -1.420732 -0.14 -0.48 -0.12
........
[So much for the records of molecules]
Plus, drilling is also really bad for the environment and ecological circumstance — the ground of the almond abundant San Joaquin Valley has literally been sinking by an average of 11 inches per year, according to a 2013 US Geological Survey, thanks to overusing the aquifers (aquifers being the water that the drilled wells tap into). And, on top of that, the increase in demand for almonds is seriously hurting honey bees.
It turns out, too, that corporate firms are buying up land right now to secure some sort of profit in the future regarding agriculture, especially in the nut market. Right now, there are still mostly farmers buying up farmland, but the corporate firms’ intentions are still something to be weary about.
According to The Oakland Institute: “A recent report by the Oakland Institute documents a fledgling, little-studied trend: Corporations are starting to buy up US farmland, especially in areas dominated by industrial-scale agriculture, like Iowa and California’s Central Valley. But the land-grabbing companies aren’t agribusinesses like Monsanto and Cargill. Instead, they’re financial firms: investment arms of insurance companies, banks, pension funds, and the like. In short, Wall Street spies gold in those fields of greens and grains.”
Is there a solution?

Photo courtesy of
Perhaps farmers could try to grow more row plants as opposed to the water-guzzling nut trees and plants since you can fallow row plants (and therefore use less water).
And maybe we could try to lower the demand for almonds somehow so that less water goes to this crop, but that seems unlikely, as mentioned, because almonds are in extremely high demand right now.
Small steps, though. The less people who buy almonds, the lower the demand, ideally, so maybe take some time to focus on some other nuts.